=====
! Pr2Dy3Rh2 | Alexandria via LeMat-Bulk | GGA-PBE | optimized geometry; values from VASP
! DOS(E_F): 7.37 states/eV/cell
! uncorrected energy: -5.979 eV/atom
! formation energy: -3.8 eV per formula unit
! space group: No. 12
&SYSTEM
  ibrav = 0, nat = 7, ntyp = 3
/
ATOMIC_SPECIES
Pr 140.91 Pr.upf
Dy 162.50 Dy.upf
Rh 102.91 Rh.upf
ATOMIC_POSITIONS angstrom
Pr 1.897 3.472 1.305
Pr 0.000 -0.760 6.643
Dy 1.897 0.000 0.000
Dy 1.897 -0.031 3.513
Dy 0.000 2.744 4.435
Rh 1.897 1.452 6.060
Rh 0.000 1.261 1.888
CELL_PARAMETERS angstrom
3.794 0.000 0.000
-1.897 6.155 -0.482
0.000 -3.442 8.429

---

! Ta2CdCl | Alexandria via LeMat-Bulk | GGA-PBE | optimized geometry; values from VASP
! DOS(E_F): 4.15 states/eV/cell
! energy relative to the lowest polymorph listed for this composition: 899.2 meV/atom
! uncorrected energy: -5.783 eV/atom
! uncorrected formation energy: 0.83 eV per atom
! space group: No. 123
&SYSTEM
  ibrav = 0, nat = 4, ntyp = 3
/
ATOMIC_SPECIES
Cl 35.45 Cl.upf
Cd 112.41 Cd.upf
Ta 180.95 Ta.upf
ATOMIC_POSITIONS angstrom
Cl 0.865 2.797 1.272
Cd -1.839 2.039 1.628
Ta 0.000 0.000 0.000
Ta 0.357 0.045 2.807
CELL_PARAMETERS angstrom
-1.331 4.792 0.092
-2.346 -0.713 3.164
3.061 0.803 2.451

---

! Cs2Tl6PtPb | Alexandria via LeMat-Bulk | GGA-PBE | optimized geometry; values from VASP
! DOS(E_F): 10.12 states/eV/cell
! uncorrected energy: -2.610 eV/atom
! formation energy: -0.5 eV per formula unit
! space group: No. 166
&SYSTEM
  ibrav = 0, nat = 20, ntyp = 4
/
ATOMIC_SPECIES
Cs 132.91 Cs.upf
Tl 204.38 Tl.upf
Pt 195.08 Pt.upf
Pb 207.20 Pb.upf
ATOMIC_POSITIONS angstrom
Cs 13.181 7.610 5.458
Cs 4.394 2.537 6.820
Cs 13.181 7.610 10.397
Cs 4.394 2.537 1.881
Tl 10.620 4.015 4.289
Tl 8.787 7.190 4.289
Tl 6.955 4.015 4.289
Tl 6.955 6.132 7.989
Tl 8.787 2.957 7.989
Tl 10.620 6.132 7.989
Tl 11.442 3.541 10.298
Tl 8.787 8.138 10.298
Tl 6.133 3.541 10.298
Tl 6.133 6.606 1.980
Tl 8.787 2.008 1.980
Tl 11.442 6.606 1.980
Pt 0.000 0.000 0.000
Pt 8.787 5.073 6.139
Pb 8.787 5.073 1.739
Pb 8.787 5.073 10.539
CELL_PARAMETERS angstrom
8.787 0.000 0.000
4.394 7.610 0.000
4.394 2.537 12.278

---

! Th4Pb5C | Alexandria via LeMat-Bulk | GGA-PBE | optimized geometry; values from VASP
! DOS(E_F): 8.03 states/eV/cell
! uncorrected energy: -5.868 eV/atom
! formation energy: -1.2 eV per formula unit
! space group: No. 12
&SYSTEM
  ibrav = 0, nat = 10, ntyp = 3
/
ATOMIC_SPECIES
Th 232.04 Th.upf
Pb 207.20 Pb.upf
C 12.01 C.upf
ATOMIC_POSITIONS angstrom
Th 0.241 -3.117 9.838
Th -2.908 -4.748 9.487
Th -2.115 -2.114 1.012
Th 1.034 -0.482 1.363
Pb -1.310 -3.920 6.609
Pb -3.513 -3.018 4.099
Pb 1.639 -2.213 6.751
Pb 2.844 -2.998 3.030
Pb -0.563 -1.310 4.241
C -0.086 -1.724 -0.544
CELL_PARAMETERS angstrom
-0.173 -3.448 -1.088
5.861 -2.549 7.147
-7.562 0.767 4.791

---

! TcRuSe2 | Alexandria via LeMat-Bulk | GGA-PBE | optimized geometry; values from VASP
! DOS(E_F): 3.50 states/eV/cell
! energy relative to the lowest polymorph listed for this composition: 85.6 meV/atom
! uncorrected energy: -6.644 eV/atom
! uncorrected formation energy: 0.01 eV per atom
! space group: No. 25
&SYSTEM
  ibrav = 0, nat = 4, ntyp = 3
/
ATOMIC_SPECIES
Ru 101.07 Ru.upf
Se 78.96 Se.upf
Tc 98.00 Tc.upf
ATOMIC_POSITIONS angstrom
Ru -4.797 -2.310 -0.130
Se -4.656 -2.294 2.528
Se -2.865 -1.358 -1.179
Tc -2.729 -1.345 1.481
CELL_PARAMETERS angstrom
-1.802 1.816 -1.671
-0.164 -2.676 -2.731
-5.233 -2.578 2.841

---

! VInSnGe2 | Alexandria via LeMat-Bulk | GGA-PBE | optimized geometry; values from VASP
! DOS(E_F): 3.21 states/eV/cell
! uncorrected energy: -4.680 eV/atom
! formation energy: 1.7 eV per formula unit
! space group: No. 123
&SYSTEM
  ibrav = 0, nat = 5, ntyp = 4
/
ATOMIC_SPECIES
Ge 72.64 Ge.upf
V 50.94 V.upf
Sn 118.71 Sn.upf
In 114.82 In.upf
ATOMIC_POSITIONS angstrom
Ge -0.924 -1.251 1.827
Ge -1.310 1.904 0.641
V 0.000 0.000 0.000
Sn -4.187 -0.167 0.918
In -1.952 -0.821 -1.550
CELL_PARAMETERS angstrom
-2.620 3.809 1.283
-3.905 -1.642 -3.100
-1.848 -2.502 3.653

---
=====
It remains to count the lines further above that contain the word "ATOMIC_SPECIES" and give the number alone.
6